Bit Security: optimal adversaries, equivalence results, and a toolbox for computational-statistical security analysis (Daniele Micciancio, Mark Schultz-Wu)

**What comes next are materials data, not part of the article**
____________
## Na6Nb2In6Si5S7O48 (GGA-PBE)

Data for a relaxed structure of Na6Nb2In6Si5S7O48.

a b c (Å): 9.0592 15.5526 23.3129
angles (deg): 89.55 89.95 89.95
Space group P1 (No. 1)
Symmetry-distinct sites (fractional):
Na 0.0000 0.0000 0.0000 x1
Na 0.0003 0.0027 0.5087 x1
Na 0.0011 0.3273 0.1770 x1
Na 0.1853 0.1504 0.9235 x1
Na 0.1889 0.5091 0.9197 x1
Na 0.3142 0.0092 0.4300 x1
Na 0.3171 0.6532 0.4272 x1
Na 0.4971 0.8390 0.6695 x1
Na 0.5017 0.4996 0.5030 x1
Na 0.5042 0.8338 0.1770 x1
Na 0.5056 0.5018 0.0049 x1
Na 0.5074 0.1700 0.3331 x1
Na 0.5086 0.1614 0.8476 x1
Na 0.6339 0.3280 0.9211 x1
Na 0.8664 0.8291 0.4251 x1
Na 0.9918 0.6643 0.3531 x1
Na 0.9956 0.6724 0.8289 x1
Na 0.9968 0.3305 0.6760 x1
Nb 0.0092 0.0047 0.1638 x1
Nb 0.0130 0.3338 0.3209 x1
Nb 0.0186 0.9997 0.6513 x1
Nb 0.4883 0.8378 0.8170 x1
Nb 0.4919 0.5040 0.6637 x1
Nb 0.4972 0.4991 0.1561 x1
In 0.0064 0.9977 0.8627 x1
In 0.0091 0.0006 0.3565 x1
In 0.0116 0.3274 0.0196 x1
In 0.0158 0.3289 0.8226 x1
In 0.4861 0.8317 0.3253 x1
In 0.4872 0.8329 0.5242 x1
In 0.4915 0.5003 0.8551 x1
In 0.4959 0.4976 0.3651 x1
In 0.5018 0.1661 0.1994 x1
In 0.5048 0.8316 0.0281 x1
In 0.5086 0.1548 0.9857 x1
In 0.5095 0.1613 0.6871 x1
In 0.5144 0.1641 0.5006 x1
In 0.9821 0.6726 0.9943 x1
In 0.9911 0.6574 0.4872 x1
In 0.9912 0.6680 0.1903 x1
In 0.9973 0.3318 0.5293 x1
In 0.9993 0.6668 0.6986 x1
Si 0.1370 0.8568 0.7605 x1
Si 0.1465 0.4747 0.4288 x1
Si 0.1949 0.4950 0.7622 x1
Si 0.1983 0.8355 0.4261 x1
Si 0.3022 0.3366 0.9283 x1
Si 0.3060 0.9944 0.2624 x1
Si 0.3533 0.9732 0.9283 x1
Si 0.3599 0.3567 0.2611 x1
Si 0.3646 0.0145 0.5903 x1
Si 0.6416 0.6891 0.4242 x1
Si 0.6471 0.6465 0.7638 x1
Si 0.7020 0.6691 0.0938 x1
Si 0.8014 0.1703 0.5950 x1
Si 0.8540 0.1475 0.2638 x1
Si 0.8572 0.1864 0.9233 x1
S 0.1466 0.8171 0.0944 x1
S 0.1495 0.5169 0.0932 x1
S 0.1511 0.1889 0.4254 x1
S 0.1521 0.1448 0.7556 x1
S 0.2044 0.1649 0.0940 x1
S 0.2965 0.6625 0.5939 x1
S 0.3487 0.6443 0.2549 x1
S 0.3495 0.6879 0.9270 x1
S 0.3563 0.3189 0.5946 x1
S 0.6447 0.3499 0.7577 x1
S 0.6491 0.9841 0.4253 x1
S 0.6516 0.3157 0.0934 x1
S 0.6548 0.0195 0.0954 x1
S 0.7102 0.0007 0.7603 x1
S 0.7117 0.3288 0.4245 x1
S 0.7900 0.8306 0.9243 x1
S 0.7912 0.4994 0.2590 x1
S 0.8464 0.5196 0.5954 x1
S 0.8542 0.8141 0.5932 x1
S 0.8555 0.4833 0.9273 x1
S 0.8561 0.8513 0.2579 x1
O 0.0714 0.5699 0.4261 x1
O 0.0706 0.8962 0.8174 x1
O 0.0712 0.9026 0.1016 x1
O 0.0739 0.2281 0.7551 x1
O 0.0740 0.4207 0.3715 x1
O 0.0834 0.4302 0.0902 x1
O 0.0835 0.9192 0.4216 x1
O 0.0835 0.7783 0.0415 x1
O 0.0848 0.7603 0.7518 x1
O 0.0865 0.1015 0.4207 x1
O 0.0890 0.0958 0.7060 x1
O 0.0907 0.5600 0.1444 x1
O 0.0916 0.2269 0.4773 x1
O 0.0984 0.7485 0.4349 x1
O 0.1016 0.4062 0.7581 x1
O 0.1034 0.5812 0.7514 x1
O 0.1041 0.2411 0.0919 x1
O 0.1072 0.0847 0.1021 x1
O 0.1071 0.9184 0.7039 x1
O 0.1086 0.2416 0.3724 x1
O 0.1132 0.4173 0.4844 x1
O 0.1210 0.7622 0.1457 x1
O 0.1266 0.0981 0.8104 x1
O 0.1304 0.5683 0.0398 x1
O 0.1728 0.3516 0.2686 x1
O 0.1763 0.0069 0.6006 x1
O 0.1768 0.9889 0.9239 x1
____________

Abstract. We investigate the notion of bit-security for decisional cryptographic properties, as originally proposed in (Micciancio & Walter, Eurocrypt 2018), and its main variants and extensions, with the goal clarifying the relation between different definitions, and facilitating their use. Specific contributions of this paper include: (1) identifying the optimal adversaries achieving the highest possible MW advantage, showing that they are deterministic and have a very simple threshold structure; (2) giving a simple proof that a competing definition proposed by (Watanabe & Yasunaga, Asiacrypt 2021) is actually equivalent to the original MW definition; and (3) developing tools for the use of the extended notion of computational-statistical bit-security introduced in (Li, Micciancio, Schultz & Sorrell, Crypto 2022), showing that it fully supports common cryptographic proof techniques like hybrid arguments and probability replacement theorems. On the technical side, our results are obtained by introducing a new notion of “fuzzy” distinguisher (which we prove equivalent to the “aborting” distinguishers of Micciancio and Walter), and a tight connection between the MW advantage and the Le Cam metric, a standard quantity used in statistics.
Image showing part 2 of abstract.

Resideo, Kiwi Properties new 'renters' apartments start at $630 pw plus utilities. Add to this food, travel (parking costs extra), contents insurance (for some at least) and that $800 rapidly disappears


Multi-Designated Detector Watermarking for Language Models (Zhengan Huang, Gongxian Zeng, Xin Mu, Yu Wang, Yue Yu)

Abstract. In this paper, we initiate the study of multi-designated detector watermarking (MDDW) for large language models (LLMs). This technique allows model providers to generate watermarked outputs from LLMs with two key properties: (i) only specific, possibly multiple, designated detectors can identify the watermarks, and (ii) there is no perceptible degradation in the output quality for ordinary users. We formalize the security definitions for MDDW and present a framework for constructing MDDW for any LLM using multi-designated verifier signatures (MDVS). Recognizing the significant economic value of LLM outputs, we introduce claimability as an optional security feature for MDDW, enabling model providers to assert ownership of LLM outputs within designated-detector settings. To support claimable MDDW, we propose a generic transformation converting any MDVS to a claimable MDVS. Our implementation of the MDDW scheme highlights its advanced functionalities and flexibility over existing methods, with satisfactory performance metrics.

I actually disagree with this take, and the assessor’s office is highly supportive of these. The biggest source of corruption is the tax appeal lawyers, and because Berrios wasn’t actually doing his job, properties were not being accurately assessed.


When is the Victorian government going to respond to the allegations made in the 4 Corners program about strata properties in this state Their absolute silence leaves strata owners out on a limb Why build up the political mess you’re causing through silence? We need a response


@XHNews: Guangzhou in south China's Guangdong Province has lifted restrictions on buying home properties, a significant step for the first-tier city to optimize the property market further


Yeh, you can go to the old school Device Manager (Right Click My PC -> Manage). Properties of the device. Then Drivers, install your own from file. Make sure they are 64bit would be my main concern..


Introduction to White Truffle THCA Strain The White Truffle THCA strain has quickly garnered a reputation among cannabis enthusiasts due to its unique properties and distinct lineage.

What is White Truffle THCA Strain? 5 Important FAQ
What is White Truffle THCA Strain? 5 Important FAQ

Introduction to White Truffle THCA Strain The White Truffle THCA strain has quickly garnered a reputation among cannabis enthusiasts due to its unique properti


The number of scare articles regarding the Negative Gearing changes saying "Oh noes, this slumlord might have to SELL some of their properties" are the biggest promotional tool the policy has, as well as being THE ACTUAL POINT. Wish I had the confidence that Labor could follow through.